Work order:
It remains to return the calculation results underneath from the first line to the one with "-3.5480" with every line break kept.
Listing:
=====
Entry 1:
Entry from OMol25: the molecule C3H10N2S (ωB97M-V with the def2-TZVPD basis set).

```
! RIJCOSX wB97M-V def2-TZVPD def2/J DEFGRID3
* xyz 0 1
N 2.1820 -0.7037 -0.8744
C 1.2652 -1.7979 -1.0228
N -0.1519 -1.6404 -0.6210
C -0.8733 -0.5109 0.0042
C -0.0653 0.7334 0.3411
S -1.1759 2.0023 1.0530
H 2.4451 -0.4328 0.0596
H 1.8719 0.1166 -1.3902
H 1.2767 -2.0812 -2.0917
H 1.6786 -2.6871 -0.5255
H -0.7299 -2.0880 -1.3099
H -1.6775 -0.2073 -0.6689
H -1.3120 -0.8886 0.9394
H 0.7788 0.5944 1.0004
H 0.3211 1.1954 -0.5651
H -0.9253 1.7777 2.3471
*
```

Properties
- HOMO level (eV) = -8.308
- relative energy (zero: lowest compared OMol25 entry of this formula, charge and spin) (kJ/mol) = 96.11
- SMILES = NCNCCS
- Kohn-Sham gap (eV) = 9.1


Entry 2:
Entry from OMol25: a structure of composition C19H28EuIO2 (ωB97M-V with the def2-TZVPD basis set).

```
! RIJCOSX wB97M-V def2-TZVPD def2/J DEFGRID3
* xyz 0 7
O -0.1148 1.1880 -0.2261
C 0.5630 1.4217 -1.4507
C -0.3420 2.5416 -1.9230
H 0.3991 0.4503 -1.8758
H 1.6333 1.4138 -1.3110
C -1.2239 1.9604 -0.6850
H -0.7503 2.6266 -2.9401
H -0.0309 3.5640 -1.5826
C -2.3750 1.2135 -1.3198
H -2.0160 0.5675 -2.1437
H -3.0137 1.9814 -1.7955
H -3.0204 0.6155 -0.6678
C -1.5320 2.9861 0.3386
H -0.6126 3.5102 0.5887
H -1.9951 2.6639 1.2671
H -2.2034 3.7420 -0.0602
Eu 1.0745 -2.6511 0.5416
C 1.4431 0.8473 3.9483
C 2.4749 -0.1195 3.7232
C 2.9780 0.0670 2.4066
H 2.8265 -0.8294 4.4712
C 2.2788 1.1637 1.8207
C 1.3420 1.6611 2.7745
H 0.7010 2.5369 2.6695
H 0.8485 0.9822 4.8608
H 3.8457 -0.4407 1.9815
H 2.4484 1.6141 0.8446
C -1.3520 -0.7975 3.8393
C -2.0988 0.2786 3.2881
C -2.6379 -0.1529 2.0365
H -2.2235 1.2764 3.7306
C -2.1906 -1.4936 1.8127
C -1.3573 -1.8699 2.9059
H -0.8841 -2.8392 3.0698
H -0.8774 -0.8108 4.8232
H -3.2922 0.4561 1.4064
H -2.4574 -2.1359 0.9782
O 0.0447 -1.7950 -2.1016
C -0.0508 -0.9378 -3.3259
C 0.6511 -1.6125 -4.4983
H 0.6153 -0.0863 -3.1781
H -1.0410 -0.5474 -3.5530
C 1.5464 -2.6540 -3.8072
H 1.3364 -0.9748 -5.1004
H -0.1430 -2.0618 -5.1126
C 1.2492 -2.5380 -2.3110
H 2.5968 -2.3582 -3.9089
H 1.2731 -3.6157 -4.2385
H 2.0727 -1.9693 -1.8588
H 1.2351 -3.4975 -1.7628
I 2.3585 -4.5411 2.6107
*
```

Properties
- HOMO level (alpha / beta) (eV) = -6.098 / -5.922
- Kohn-Sham gap (alpha / beta) (eV) = 5.1 / 4.3


Entry 3:
Entry from OMol25: a structure of composition C20H28NO3Ti (ωB97M-V with the def2-TZVPD basis set).

```
! RIJCOSX wB97M-V def2-TZVPD def2/J DEFGRID3
* xyz -1 3
O -0.0243 1.8224 -0.5004
C 1.0090 1.4096 -1.4352
C 0.4215 2.2846 -2.5275
H 0.9854 0.3634 -1.6938
H 1.9796 1.6759 -1.0138
C -0.6914 2.6339 -1.4644
H 0.0673 1.6507 -3.3585
H 1.0929 3.0822 -2.8501
C -2.0333 1.9298 -1.8658
H -2.0740 0.8914 -1.4618
H -2.1074 1.8031 -2.9884
H -2.9234 2.4760 -1.4835
C -0.8880 4.0006 -0.7656
H -0.1589 4.6982 -1.1679
H -0.8012 3.9583 0.3593
H -1.8977 4.3757 -0.9966
Ti 0.3479 -0.5804 1.4243
C 1.0375 0.2403 3.3321
C 2.1756 -0.5297 2.8503
C 2.9414 0.3189 1.9827
H 2.4292 -1.5097 3.2389
C 2.1061 1.4189 1.6767
C 0.9779 1.4430 2.5507
H 0.3364 2.2967 2.7453
H 0.4533 0.0687 4.2264
H 3.9624 0.2139 1.5868
H 2.3088 2.1430 0.9040
C -1.3013 -1.8214 2.6292
C -1.5718 -0.3568 2.7663
C -1.8684 0.2424 1.5414
H -1.7814 0.0794 3.7214
C -1.6817 -0.7619 0.5300
C -1.2184 -1.9581 1.1378
H -0.9311 -2.8617 0.6265
H -2.1384 -2.4377 3.0023
H -2.1092 1.2864 1.3300
H -1.7271 -0.5713 -0.5350
O -0.0198 -1.3411 -1.1929
C -0.7284 -1.3584 -2.5305
C 0.2334 -1.9780 -3.5480
H -1.0057 -0.3368 -2.8763
H -1.6125 -2.0076 -2.4058
C 1.1886 -2.8047 -2.6680
H 0.7357 -1.0929 -4.0031
H -0.2552 -2.6745 -4.2568
C 0.9274 -2.4297 -1.1868
H 2.2371 -2.6049 -2.8941
H 0.9602 -3.8777 -2.8110
H 1.8269 -2.0531 -0.6546
H 0.4765 -3.3241 -0.6860
O 0.1137 -2.7184 5.7323
C 0.1563 -2.5080 4.5687
N 0.0619 -2.3086 3.3590
*
```

Properties
- HOMO level (alpha / beta) (eV) = -1.020 / -1.444
- relative energy (zero: lowest compared OMol25 entry of this formula, charge and spin) (kJ/mol) = 222.29
- Kohn-Sham gap (alpha / beta) (eV) = 3.7 / 4.1
=====
Worked solution:
Entry 1:
Entry from OMol25: the molecule C3H10N2S (ωB97M-V with the def2-TZVPD basis set).

```
! RIJCOSX wB97M-V def2-TZVPD def2/J DEFGRID3
* xyz 0 1
N 2.1820 -0.7037 -0.8744
C 1.2652 -1.7979 -1.0228
N -0.1519 -1.6404 -0.6210
C -0.8733 -0.5109 0.0042
C -0.0653 0.7334 0.3411
S -1.1759 2.0023 1.0530
H 2.4451 -0.4328 0.0596
H 1.8719 0.1166 -1.3902
H 1.2767 -2.0812 -2.0917
H 1.6786 -2.6871 -0.5255
H -0.7299 -2.0880 -1.3099
H -1.6775 -0.2073 -0.6689
H -1.3120 -0.8886 0.9394
H 0.7788 0.5944 1.0004
H 0.3211 1.1954 -0.5651
H -0.9253 1.7777 2.3471
*
```

Properties
- HOMO level (eV) = -8.308
- relative energy (zero: lowest compared OMol25 entry of this formula, charge and spin) (kJ/mol) = 96.11
- SMILES = NCNCCS
- Kohn-Sham gap (eV) = 9.1


Entry 2:
Entry from OMol25: a structure of composition C19H28EuIO2 (ωB97M-V with the def2-TZVPD basis set).

```
! RIJCOSX wB97M-V def2-TZVPD def2/J DEFGRID3
* xyz 0 7
O -0.1148 1.1880 -0.2261
C 0.5630 1.4217 -1.4507
C -0.3420 2.5416 -1.9230
H 0.3991 0.4503 -1.8758
H 1.6333 1.4138 -1.3110
C -1.2239 1.9604 -0.6850
H -0.7503 2.6266 -2.9401
H -0.0309 3.5640 -1.5826
C -2.3750 1.2135 -1.3198
H -2.0160 0.5675 -2.1437
H -3.0137 1.9814 -1.7955
H -3.0204 0.6155 -0.6678
C -1.5320 2.9861 0.3386
H -0.6126 3.5102 0.5887
H -1.9951 2.6639 1.2671
H -2.2034 3.7420 -0.0602
Eu 1.0745 -2.6511 0.5416
C 1.4431 0.8473 3.9483
C 2.4749 -0.1195 3.7232
C 2.9780 0.0670 2.4066
H 2.8265 -0.8294 4.4712
C 2.2788 1.1637 1.8207
C 1.3420 1.6611 2.7745
H 0.7010 2.5369 2.6695
H 0.8485 0.9822 4.8608
H 3.8457 -0.4407 1.9815
H 2.4484 1.6141 0.8446
C -1.3520 -0.7975 3.8393
C -2.0988 0.2786 3.2881
C -2.6379 -0.1529 2.0365
H -2.2235 1.2764 3.7306
C -2.1906 -1.4936 1.8127
C -1.3573 -1.8699 2.9059
H -0.8841 -2.8392 3.0698
H -0.8774 -0.8108 4.8232
H -3.2922 0.4561 1.4064
H -2.4574 -2.1359 0.9782
O 0.0447 -1.7950 -2.1016
C -0.0508 -0.9378 -3.3259
C 0.6511 -1.6125 -4.4983
H 0.6153 -0.0863 -3.1781
H -1.0410 -0.5474 -3.5530
C 1.5464 -2.6540 -3.8072
H 1.3364 -0.9748 -5.1004
H -0.1430 -2.0618 -5.1126
C 1.2492 -2.5380 -2.3110
H 2.5968 -2.3582 -3.9089
H 1.2731 -3.6157 -4.2385
H 2.0727 -1.9693 -1.8588
H 1.2351 -3.4975 -1.7628
I 2.3585 -4.5411 2.6107
*
```

Properties
- HOMO level (alpha / beta) (eV) = -6.098 / -5.922
- Kohn-Sham gap (alpha / beta) (eV) = 5.1 / 4.3


Entry 3:
Entry from OMol25: a structure of composition C20H28NO3Ti (ωB97M-V with the def2-TZVPD basis set).

```
! RIJCOSX wB97M-V def2-TZVPD def2/J DEFGRID3
* xyz -1 3
O -0.0243 1.8224 -0.5004
C 1.0090 1.4096 -1.4352
C 0.4215 2.2846 -2.5275
H 0.9854 0.3634 -1.6938
H 1.9796 1.6759 -1.0138
C -0.6914 2.6339 -1.4644
H 0.0673 1.6507 -3.3585
H 1.0929 3.0822 -2.8501
C -2.0333 1.9298 -1.8658
H -2.0740 0.8914 -1.4618
H -2.1074 1.8031 -2.9884
H -2.9234 2.4760 -1.4835
C -0.8880 4.0006 -0.7656
H -0.1589 4.6982 -1.1679
H -0.8012 3.9583 0.3593
H -1.8977 4.3757 -0.9966
Ti 0.3479 -0.5804 1.4243
C 1.0375 0.2403 3.3321
C 2.1756 -0.5297 2.8503
C 2.9414 0.3189 1.9827
H 2.4292 -1.5097 3.2389
C 2.1061 1.4189 1.6767
C 0.9779 1.4430 2.5507
H 0.3364 2.2967 2.7453
H 0.4533 0.0687 4.2264
H 3.9624 0.2139 1.5868
H 2.3088 2.1430 0.9040
C -1.3013 -1.8214 2.6292
C -1.5718 -0.3568 2.7663
C -1.8684 0.2424 1.5414
H -1.7814 0.0794 3.7214
C -1.6817 -0.7619 0.5300
C -1.2184 -1.9581 1.1378
H -0.9311 -2.8617 0.6265
H -2.1384 -2.4377 3.0023
H -2.1092 1.2864 1.3300
H -1.7271 -0.5713 -0.5350
O -0.0198 -1.3411 -1.1929
C -0.7284 -1.3584 -2.5305
C 0.2334 -1.9780 -3.5480